**Request:**
Return only the lines below with the word "magnetization" in them.

**Excerpt:**
VASP calculation (meta-GGA r2SCAN) on an optimized crystal structure of Ho5SbPt2.

Values from the calculation:
As for the symmetry: I4/mcm. The value obtained for the magnetization is 0.000 μB per atom. For the energy, the calculation gives -604.2 eV for the cell shown. Its density is 11.084 g/cm³.

Cell lengths 8.685, 8.685, 8.685 Å; angles 127.44, 127.44, 77.53 degrees
Element x y z (fractional)
Ho (0.000, 0.000, 0.000)
Ho (0.018, 0.518, 0.813)
Ho (0.205, 0.018, 0.500)
Ho (0.295, 0.795, 0.813)
Ho (0.482, 0.295, 0.500)
Ho (0.500, 0.500, 0.000)
Ho (0.518, 0.705, 0.500)
Ho (0.705, 0.205, 0.187)
Ho (0.795, 0.982, 0.500)
Ho (0.982, 0.482, 0.187)
Sb (0.250, 0.250, 0.000)
Sb (0.750, 0.750, 0.000)
Pt (0.139, 0.361, 0.500)
Pt (0.361, 0.861, 0.222)
Pt (0.639, 0.139, 0.778)
Pt (0.861, 0.639, 0.500)

~~~~~

# 1
## Mg14NbBi (PBE-GGA)

Data for crystalline Mg14NbBi at its relaxed geometry.

Summary:
The calculation puts the magnetization at 0.057 μB per atom. Its relative energy among the computed polymorphs is 1.2 kJ per mole of atoms. Its formation energy is 59 meV/atom.

Cell lengths 6.372, 6.320, 10.315 Å; angles 90.00, 90.00, 119.73 degrees
Fractional positions:
1 Mg 0.166 0.333 0.625
2 Mg 0.167 0.834 0.625
3 Mg 0.668 0.332 0.125
4 Mg 0.666 0.332 0.625
5 Mg 0.668 0.835 0.125
6 Mg 0.666 0.834 0.625
7 Mg 0.333 0.173 0.375
8 Mg 0.333 0.173 0.875
9 Mg 0.333 0.659 0.375
10 Mg 0.333 0.659 0.875
11 Mg 0.840 0.170 0.372
12 Mg 0.840 0.170 0.878
13 Mg 0.828 0.664 0.380
14 Mg 0.828 0.664 0.870
15 Nb 0.172 0.336 0.125
16 Bi 0.160 0.830 0.125

# 2
## Mg14NbBi (PBE-GGA)

Data for crystalline Mg14NbBi at its relaxed geometry.

Summary:
The calculation puts the magnetization at 0.000 μB per atom. Its relative energy among the computed polymorphs is 0.0 kJ per mole of atoms. Its formation energy is 46 meV/atom.

Cell lengths 6.365, 6.365, 10.327 Å; angles 90.00, 90.00, 120.00 degrees
Fractional positions:
1 Mg 0.168 0.834 0.125
2 Mg 0.165 0.833 0.625
3 Mg 0.666 0.332 0.125
4 Mg 0.667 0.335 0.625
5 Mg 0.666 0.834 0.125
6 Mg 0.667 0.833 0.625
7 Mg 0.330 0.170 0.365
8 Mg 0.330 0.170 0.885
9 Mg 0.330 0.660 0.365
10 Mg 0.330 0.660 0.885
11 Mg 0.840 0.170 0.365
12 Mg 0.840 0.170 0.885
13 Mg 0.833 0.667 0.371
14 Mg 0.833 0.667 0.879
15 Nb 0.167 0.333 0.125
16 Bi 0.167 0.333 0.625

# 3
## Mg2Nb3Bi3O14 (PBE-GGA)

Data for crystalline Mg2Nb3Bi3O14 at its relaxed geometry.

Summary:
The calculation puts the magnetization at 0.000 μB per atom. The energy with MP2020 corrections is -7.76 eV per atom. Its formation energy is -2561 meV/atom.

Cell lengths 7.334, 7.334, 7.334 Å; angles 61.84, 61.84, 61.84 degrees
Fractional positions:
1 Mg 0.500 0.500 0.500
2 Mg 0.000 0.000 0.000
3 Nb 0.500 0.000 0.000
4 Nb 0.000 0.000 0.500
5 Nb 0.000 0.500 0.000
6 Bi 0.000 0.500 0.500
7 Bi 0.500 0.500 0.000
8 Bi 0.500 0.000 0.500
9 O 0.389 0.389 0.389
10 O 0.611 0.611 0.611
11 O 0.925 0.319 0.319
12 O 0.343 0.913 0.913
13 O 0.319 0.319 0.925
14 O 0.913 0.913 0.343
15 O 0.913 0.343 0.913
16 O 0.319 0.925 0.319
17 O 0.075 0.681 0.681
18 O 0.657 0.087 0.087

**Completed:**
As for the symmetry: I4/mcm. The value obtained for the magnetization is 0.000 μB per atom. For the energy, the calculation gives -604.2 eV for the cell shown. Its density is 11.084 g/cm³.
The calculation puts the magnetization at 0.057 μB per atom. Its relative energy among the computed polymorphs is 1.2 kJ per mole of atoms. Its formation energy is 59 meV/atom.
The calculation puts the magnetization at 0.000 μB per atom. Its relative energy among the computed polymorphs is 0.0 kJ per mole of atoms. Its formation energy is 46 meV/atom.
The calculation puts the magnetization at 0.000 μB per atom. The energy with MP2020 corrections is -7.76 eV per atom. Its formation energy is -2561 meV/atom.